Contents:
........
Ba3Sc3InCu3O12 | PBE | relaxed

abc: 9.563 9.563 9.563
angles: 127.04 101.70 101.23
Fractional positions:
Ba1 0.000 0.248 0.248
Ba2 0.000 0.752 0.752
Ba3 0.057 0.529 0.028
Ba4 0.499 0.471 0.528
Ba5 0.501 0.029 0.972
Ba6 0.943 0.971 0.472
Sc1 0.240 0.500 0.740
Sc2 0.240 0.740 0.500
Sc3 0.243 0.000 0.243
Sc4 0.757 0.000 0.757
Sc5 0.760 0.260 0.500
Sc6 0.760 0.500 0.260
In1 0.242 0.242 0.000
In2 0.758 0.758 0.000
Cu1 0.291 0.145 0.642
Cu2 0.497 0.855 0.146
Cu3 0.500 0.000 0.500
Cu4 0.500 0.500 0.000
Cu5 0.503 0.649 0.358
Cu6 0.709 0.351 0.854
O1 0.000 0.372 0.627
O2 0.000 0.627 0.372
O3 0.008 0.873 0.131
O4 0.254 0.628 0.628
O5 0.257 0.127 0.134
O6 0.261 0.010 0.742
O7 0.262 0.250 0.514
O8 0.264 0.750 0.011
O9 0.268 0.519 0.258
O10 0.270 0.362 0.861
O11 0.270 0.902 0.403
O12 0.498 0.638 0.907
O13 0.500 0.098 0.367
O14 0.500 0.867 0.597
O15 0.502 0.409 0.139
O16 0.730 0.133 0.633
O17 0.730 0.591 0.093
O18 0.732 0.990 0.251
O19 0.736 0.748 0.486
O20 0.738 0.252 0.989
O21 0.739 0.481 0.749
O22 0.743 0.877 0.869
O23 0.746 0.373 0.373
O24 0.992 0.123 0.866

The calculation puts the total energy at -298.8 eV per cell.
........
Exercise:
It remains to find "0.000 0.500" and "O20 0.738" in the data earlier on, and echo these two lines and those between.
Completed:
Cu3 0.500 0.000 0.500
Cu4 0.500 0.500 0.000
Cu5 0.503 0.649 0.358
Cu6 0.709 0.351 0.854
O1 0.000 0.372 0.627
O2 0.000 0.627 0.372
O3 0.008 0.873 0.131
O4 0.254 0.628 0.628
O5 0.257 0.127 0.134
O6 0.261 0.010 0.742
O7 0.262 0.250 0.514
O8 0.264 0.750 0.011
O9 0.268 0.519 0.258
O10 0.270 0.362 0.861
O11 0.270 0.902 0.403
O12 0.498 0.638 0.907
O13 0.500 0.098 0.367
O14 0.500 0.867 0.597
O15 0.502 0.409 0.139
O16 0.730 0.133 0.633
O17 0.730 0.591 0.093
O18 0.732 0.990 0.251
O19 0.736 0.748 0.486
O20 0.738 0.252 0.989